Tuesday, 7 December 2010

Governance and public engagement in a global perspective

Blog post by Claire Packman, Egenis (on Session 5B - Governance and public engagement in a global perspective)

The session was chaired by Yuko Harayama, the OECD’s Science, Technology and Industry deputy director. She suggested in her opening remarks that there seems to be broad agreement that public engagement is worth doing, that: “The value of science and technology needs to be examined, not just from the academic point of view,”, But how should it be done? As the session unfolded it became clear that different nations have adopted very different approaches.

How the personal is still political: Why food security is about biofuels is about land rights

Blog post by Dr Christine Knight, Genomics Forum (on Session 5A - Food Security and Sustainable Diets)

Professor Steve Hughes from Egenis opened this penultimate session of the conference by congratulating the audience on our endurance – with the end of proceedings in sight, many people’s attention has been diverted by travel anxieties as snow falls outside. With the loss of a mystery speaker from Brazil for this session, Professor Paul Richards has been added to the programme as a respondent to speakers Professor Simon Bright and Dr Benard Muok. This is a session I’ve been looking forward to as I recently organised, but wasn’t able to attend, a similar event on the “politics of plants” at the Green Party Annual Conference 2010, at which Professor Bright also spoke.

Methane not a laughing mattter...

Here the entry breaks off for materials data.
........
Ce4Pt2Au: optimized geometry, PBE.

a b c (Å): 12.1868 4.3828 13.9074
angles (deg): 90.00 90.00 90.00
Closest atoms and distances in Å follow each position.
Space group Pnma (No. 62)
Unique sites:
Ce (0.0152, 0.2500, 0.1843) (multiplicity 4)  3 Pt 2.93-3.17
Ce (0.0432, 0.2500, 0.6001) (multiplicity 4)  3 Pt 2.92-2.98, 2 Au 3.14
Ce (0.1861, 0.7500, 0.0244) (multiplicity 4)  4 Pt 2.93-3.03, 2 Au 3.18
Ce (0.2464, 0.7500, 0.3125) (multiplicity 4)  3 Pt 2.95, 2 Au 3.05
Pt (0.0595, 0.2500, 0.9397) (multiplicity 4)  6 Ce 2.93-3.03, 2 Pt 3.12
Pt (0.1149, 0.2500, 0.3951) (multiplicity 4)  7 Ce 2.92-3.17
Au (0.2120, 0.7500, 0.6641) (multiplicity 4)  7 Ce 3.05-3.34

Properties
D(E_F) = 23.7 states/eV/f.u.
E_tot = -44.37 eV per formula unit
E above lowest polymorph = 0.0 meV per atom
E_form = -0.75 eV per atom

----------

1.
A relaxed SmMgAu crystal, computed with GGA-PBEsol.

Geometry as CIF:
```
data_SmMgAu
_cell_length_a 7.6260
_cell_length_b 7.6260
_cell_length_c 4.0795
_cell_angle_alpha 90.00
_cell_angle_beta 90.00
_cell_angle_gamma 120.00
_space_group_name_H-M_alt 'P -6 2 m'
_space_group_IT_number 189
_space_group_name_Hall 'P -6 -2'
loop_
_atom_site_label
_atom_site_fract_x
_atom_site_fract_y
_atom_site_fract_z
_atom_site_occupancy
Sm1 0.0000 0.4131 0.0000 1
Mg1 0.0000 0.7554 0.5000 1
Au1 0.0000 0.0000 0.0000 1
Au2 0.3333 0.6667 0.5000 1
```

Calculated values
* energy of formation from the pure elements: -0.664 eV per atom
* total DFT energy (no corrections): -4.242 eV/atom

=====

2.
A relaxed MgSnAu crystal, computed with GGA-PBEsol.

Geometry as CIF:
```
data_MgSnAu
_cell_length_a 6.416
_cell_length_b 6.416
_cell_length_c 6.416
_cell_angle_alpha 90.00
_cell_angle_beta 90.00
_cell_angle_gamma 90.00
_space_group_name_H-M_alt 'F -4 3 m'
_space_group_IT_number 216
_space_group_name_Hall 'F -4 2 3'
loop_
_atom_site_label
_atom_site_fract_x
_atom_site_fract_y
_atom_site_fract_z
_atom_site_occupancy
Mg1 0.000 0.000 0.000 1
Sn1 0.000 0.000 0.500 1
Au1 0.250 0.250 0.750 1
```

Calculated values
* energy of formation from the pure elements: -0.467 eV per atom
* total DFT energy (no corrections): -3.767 eV/atom

=====

3.
A relaxed Sr2MgAu crystal, computed with GGA-PBEsol.

Geometry as CIF:
```
data_Sr2MgAu
_cell_length_a 4.556
_cell_length_b 4.703
_cell_length_c 12.077
_cell_angle_alpha 90.00
_cell_angle_beta 90.00
_cell_angle_gamma 90.00
_space_group_name_H-M_alt 'A m m 2'
_space_group_IT_number 38
_space_group_name_Hall 'A 2 -2'
loop_
_atom_site_label
_atom_site_fract_x
_atom_site_fract_y
_atom_site_fract_z
_atom_site_occupancy
Sr1 0.000 0.000 0.000 1
Sr2 0.500 0.000 0.291 1
Mg1 0.500 0.000 0.591 1
Au1 0.000 0.000 0.715 1
```

Calculated values
* energy of formation from the pure elements: -0.387 eV per atom
* total DFT energy (no corrections): -2.717 eV/atom

=====

4.
A relaxed SrMg2Au crystal, computed with GGA-PBEsol.

Geometry as CIF:
```
data_SrMg2Au
_cell_length_a 4.981
_cell_length_b 4.981
_cell_length_c 7.255
_cell_angle_alpha 90.00
........

Blog post by Claire Packman, Egenis (on Session 4B - Green Growth and Life Science Innovation for Sustainability)

Methane emissions from livestock may make small children (and possibly not so small) giggle, but as Tara Garnett demonstrated in her talk ‘Livestock and greenhouse gas emissions’, they are in fact quite serious. Livestock account for something between 12-18 per cent of global emissions, and demand is set to double for meat and milk. Tara looked at the technological possibilities for reducing emissions, including increasing yields – “more milk per burp” was her memorable phrase, but concluded that by themselves they won’t be enough.

Psychiatric Genomics in good mental health

Blog post by Kristrun Gunnarsdottir, Cesagen: (on Session 4A - Personalised Medicine: Debating the Promise of Psychiatric Genomics)

The chair, Adam Hedgecoe of Ceasgen opened with an apology for the absence of Nick Craddock, Cardiff Medical School - another victim of the wintry weather.

What can we make of personalised psychiatric genetics in 2010?
  • Mike Arribas-Ayllon, Ceasagen talked about managing promise and complexity: gene networks, unpredictable environmental factors, hard-to-classify patients and psychiatrists who are already very cautious about promising a cure.
  • Maria Arranz, Institute of Psychiatry, London argued that great achievements are reached if genomics can help, even if only minimally, predicting reaction to psychiatric medication. Managing doses and types of medication has always been notoriously difficult.
  • Barbara Prainsack, Austrian Bioethics Commission, argued that direct-to-consumer testing does not lead to more genetic determinism. Consumers/patients/individuals are more sophisticated than that. 

‘Converging Technologies’ a Contested Concept

Blog post by Shawn H.E. Harmon, Innogen (on Session 3A - Converging Technologies: Promises, Programmes, and Practices)

As pointed out by Prof. Robin Williams, Innogen, co-convenor of this panel, the idea of ‘technology convergence’, an idea explored in a variety of ways and sessions at this conference, has a number of meanings and uses.  This session was not so much about how technologies are converging or how science regulation should or can respond to this phenomenon, but rather what we mean by ‘convergence’ and the baggage that the term carries.